Dental surgery

Surgical procedures in the oral cavity - dental surgeon at Stomatologia Borowski.

Take care of your dental health thanks to the possibilities of dental surgery. Get help with difficult extractions and preparation for specialized treatment.

Dental surgery includes tooth removal procedures, but our doctors’ attention is focused primarily on the tooth treatment process. The combination of surgical procedures with endodontic and periodontal treatment allows, among other things, the removal of cysts and the filling of missing bones with bone substitute materials.

What does the surgical treatment look like?

All procedures at our Center are performed under local anesthesia. Preparing for them involves 3 steps.

Medical Interview

Inserted here: quantum chemistry results:
-- begin --
Model a:
ORCA calculation (wB97M-V/def2-TZVPD) on a 2-piece molecular cluster, C3H9NO3 overall.

Last column: natural (NBO) charge in e.
CARTESIAN COORDINATES (ANGSTROEM)
C: 0.4669 -0.0186 1.0343  0.483
N: 0.0982 -1.3869 0.9891  -0.881
O: -0.5934 0.7775 1.4431  -0.738
O: 1.5582 0.1535 1.9020  -0.747
H: 1.6331 1.0805 2.1561  0.478
H: -1.1127 0.2936 2.0993  0.479
H: 0.9531 0.5504 -0.0145  0.186
H: 0.5753 -1.8898 0.2443  0.391
H: 0.3048 -1.8298 1.8789  0.381
C: -1.1875 0.2873 -1.7170  -0.730
C: 0.2971 0.2632 -1.5464  0.417
O: 1.0590 -0.5132 -2.0880  -0.551
H: 0.7245 1.3439 -1.1635  0.102
H: -1.6448 0.5681 -0.7668  0.253
H: -1.5784 -0.6862 -2.0047  0.232
H: -1.5534 1.0067 -2.4462  0.246

Output
M = 107.1 g/mol
total charge = 0
frontier orbital gap = 10.12 eV
HOMO energy = -9.5 eV
LUMO level = 0.6221 eV
SMILES string = NC(O)O.CC=O


Model b:
ORCA calculation (wB97M-V/def2-TZVPD) on a 2-piece molecular cluster, C3H9NO3 overall.

Last column: natural (NBO) charge in e.
CARTESIAN COORDINATES (ANGSTROEM)
O: 0.4432 1.8316 -1.9993  -0.557
C: 0.7357 0.8610 -1.3558  0.466
C: -0.2380 0.0332 -0.5374  -0.347
N: 0.4915 -0.7767 0.4349  -0.630
C: -0.0641 -2.0819 0.6624  0.094
O: -1.4577 -1.9852 0.9898  -0.744
H: 1.7415 0.4140 -1.3643  0.114
H: -0.6802 -0.6200 -1.3034  0.224
H: -0.9899 0.6664 -0.0668  0.231
H: 0.5256 -0.3145 1.3349  0.372
H: 0.0319 -2.6693 -0.2470  0.149
H: 0.4994 -2.5263 1.4856  0.165
H: -1.8517 -2.8568 0.8799  0.469
H: 0.4616 3.9668 0.7676  0.468
H: 0.1713 3.0075 -0.3264  0.482
O: 0.1798 3.0504 0.6454  -0.954

Output
M = 107.1 g/mol
total charge = 0
frontier orbital gap = 10.48 eV
HOMO energy = -9.7 eV
LUMO level = 0.8140 eV
SMILES string = O=CCNCO.O


Of them, model b has the highest stability.


Model a:
ORCA calculation (wB97M-V/def2-TZVPD) on a 2-piece molecular cluster, C3H9NO3 overall.

Last column: natural (NBO) charge in e.
CARTESIAN COORDINATES (ANGSTROEM)
O: 2.5533 -0.6820 -0.2601  -0.515
C: 1.6059 -0.6817 -1.0124  0.412
C: 0.6436 0.5061 -0.9080  -0.335
N: 0.0643 0.3461 0.4176  -0.670
C: -1.2411 0.9950 0.4926  0.093
O: -1.3921 2.2494 -0.1057  -0.719
H: 1.5035 -1.6023 -1.6008  0.136
H: 0.8296 1.5380 -1.2359  0.212
H: -0.1847 0.3835 -1.6112  0.198
H: 0.5516 0.3272 1.2900  0.405
H: -1.3971 1.0925 1.5844  0.156
H: -1.9871 0.3137 0.0768  0.159
H: -0.6801 2.8278 0.1800  0.468
H: 0.0572 -3.2084 0.8213  0.460
H: -0.6043 -1.9316 0.5632  0.468
O: -0.3225 -2.4733 1.3081  -0.930

Output
M = 107.1 g/mol
total charge = 0
frontier orbital gap = 10.01 eV
HOMO energy = -9.4 eV
LUMO level = 0.6569 eV
SMILES string = O=CCNCO.O


Model b:
ORCA calculation (wB97M-V/def2-TZVPD) on C3H9NO3 as an isolated structure.

Last column: natural (NBO) charge in e.
CARTESIAN COORDINATES (ANGSTROEM)
O: -1.4277 -0.4289 0.2471  -0.580
O: -0.0485 -1.3114 -1.2847  -0.683
C: -0.3490 -0.7904 -0.1068  0.846
N: 2.0561 1.2170 -0.5326  -0.839
C: 0.8999 -0.5382 0.7266  -0.520
C: 1.3015 0.9586 0.6536  -0.199
H: -0.7783 -1.5925 -1.9015  0.519
H: 2.1703 2.2364 -0.5509  0.358
-- stop --

The first step is a dental interview. It covers basic questions about the patient's health condition, ailments and treatment goals.

Examination of the oral cavity

The dentist carries out a diagnostic examination in the office to learn more about the patient's condition and decide on, for example, taking an X-ray.

Treatment plan

Based on the earlier stages, the dental surgeon develops an optimal treatment plan and presents it to the patient.

For us, your comfort comes first

At the Borowski Dental Centre, you can feel completely at ease.

Our doctors are top-class specialists who take care of patients in all aspects: they will patiently and thoroughly answer your questions, create a friendly atmosphere, properly prepare you for the procedure and carefully carry it out. They will take care of the health of your smile and your sense of comfort.
At our Center we have ideal conditions for dental surgery treatment. Advanced digital diagnostics allows you to obtain a three-dimensional image of the bones of the jaw, mandible, all teeth and maxillary sinus, and thus precisely plan treatment. We also provide post-treatment support, i.e. doctor’s recommendations and an additional follow-up visit to track the progress of recovery.

See what treatments we carry out:

Implant placement

Tooth extraction

Extraction of an impacted wisdom tooth

Calculated molecules, as found in the file:
=====
(1)
# C2H2ClN2O3

A 3-piece molecular cluster, C2H2ClN2O3 overall (the ωB97M-V functional and the def2-TZVPD basis, the Open Molecules 2025 dataset).

The geometry in ORCA input format:
```
! wB97M-V def2-TZVPD RIJCOSX def2/J DEFGRID3
* xyz -1 1
C 1.860 0.384 0.195
C -0.348 0.024 -0.693
N -0.786 -0.862 0.088
N -0.725 -1.546 1.032
O 2.041 -0.748 0.337
O 1.906 1.513 0.005
O -1.450 -2.410 1.482
Cl -1.820 3.008 -0.518
H 0.139 -0.380 -1.469
H -0.816 1.017 -0.459
*
```

Calculated values
- LUMO level: 2.83 eV
- Energy relative to the best compared isomer or geometry (same formula, charge and spin): 30.1 kcal per mole

Atom charges from the natural (NBO) analysis, given in e for atoms 1 to 5: atom 1 (C): 1.006, atom 2 (C): -0.236, atom 3 (N): -0.074, atom 4 (N): 0.256, atom 5 (O): -0.541

(2)
# C4H5NO2

C4H5NO2 as an isolated structure (the ωB97M-V functional and the def2-TZVPD basis, the Open Molecules 2025 dataset).

The geometry in ORCA input format:
```
! wB97M-V def2-TZVPD RIJCOSX def2/J DEFGRID3
* xyz 0 1
O -0.796 -2.544 -0.771
C -0.039 -1.624 -0.604
C -0.345 -0.532 0.338
C 0.627 0.357 0.996
N 0.023 1.655 0.630
C -0.391 1.623 -0.579
O -0.595 0.513 -1.239
H 0.888 -1.463 -1.180
H -1.284 -0.635 0.899
H 1.644 0.255 0.581
H 0.696 0.300 2.092
H -0.560 2.583 -1.069
*
```

Calculated values
- LUMO level: -0.66 eV
- Energy relative to the best compared isomer or geometry (same formula, charge and spin): 69.8 kcal per mole

Atom charges from the natural (NBO) analysis, given in e for atoms 1 to 5: atom 1 (O): -0.487, atom 2 (C): 0.385, atom 3 (C): 0.071, atom 4 (C): -0.327, atom 5 (N): -0.516

(3)
# C4H7N4

An isolated ion of composition C4H7N4 and charge +1 (the ωB97M-V functional and the def2-TZVPD basis, the Open Molecules 2025 dataset).

The geometry in ORCA input format:
```
! wB97M-V def2-TZVPD RIJCOSX def2/J DEFGRID3
* xyz 1 1
C 0.044 2.067 -0.484
N 0.234 0.943 0.058
C 1.091 0.795 1.219
N -0.228 -0.263 -0.356
C -1.800 -1.064 -0.765
N -1.425 -2.231 -0.771
C -0.080 -2.360 -0.516
N 0.534 -1.264 -0.145
H -0.509 2.265 -1.444
H 0.473 3.053 -0.235
H 1.675 1.701 1.528
H 1.809 -0.107 0.992
H 0.584 0.370 2.114
H -2.822 -0.608 -0.746
H 0.419 -3.299 -0.446
*
```

Calculated values
- Structure (SMILES): C=[N+](C)n1cncn1
- LUMO level (alpha / beta): -5.11 / -5.10 eV
- Energy relative to the best compared isomer or geometry (same formula, charge and spin): 114.0 kcal per mole

Atom charges from the natural (NBO) analysis, given in e for atoms 1 to 5: atom 1 (C): 0.040, atom 2 (N): -0.075, atom 3 (C): -0.486, atom 4 (N): -0.126, atom 5 (C): 0.262

(4)
# C3H2NOS2

A 2-piece molecular cluster, C3H2NOS2 overall (the ωB97M-V functional and the def2-TZVPD basis, the Open Molecules 2025 dataset).

The geometry in ORCA input format:
```
! wB97M-V def2-TZVPD RIJCOSX def2/J DEFGRID3
* xyz -1 1
C -0.578 -1.749 0.016
C 0.877 -0.200 0.128
C -0.110 0.537 -0.659
N 0.630 -1.462 0.368
O -0.376 2.604 0.602
S 2.515 0.362 0.211
S -1.517 -0.435 -0.649
H -1.047 -2.660 0.258
=====
End of the calculated molecules:

Open or closed curettage

Unrelated to this article: quantum chemistry results:
No. 1
Below is a molecular structure, C40H80K3O34P in a non-equilibrium geometry, with properties calculated with ωB97M-V/def2-TZVPD.

Cartesian coordinates (Å):
K -1.3059 -2.8827 -0.5627
K -0.4047 0.7872 3.1362
K 1.2012 1.5878 -2.1458
P -0.4590 -0.0584 0.0971
O -0.1345 1.4251 0.2780
O 0.0867 -0.9155 1.3151
O 0.2551 -0.6283 -1.1838
O -2.0041 -0.3013 -0.1491
C 8.5979 -0.0322 2.7026
C 7.1321 0.2985 3.0606
O 6.2793 0.4298 1.9397
C 4.9101 0.2106 2.0797
O 4.2914 -0.0876 3.1142
O 4.3775 0.2851 0.8091
C 3.0028 0.0741 0.7116
H 8.7493 -0.8398 1.9863
H 9.1509 -0.0917 3.6400
H 9.0027 0.8634 2.2314
H 7.0226 1.2344 3.6085
H 6.7715 -0.4639 3.7512
H 2.4245 0.5070 1.5278
H 2.8200 -0.9972 0.7941
H 2.5238 0.4464 -0.1941
C 4.1673 -8.0562 2.4455
C 3.3996 -7.5302 3.6155
O 2.4886 -6.5597 3.1549
C 2.8143 -5.2534 3.0277
O 3.8805 -4.7340 3.3775
O 1.7791 -4.6658 2.4105
C 1.7646 -3.2677 2.2074
H 4.5228 -7.3093 1.7357
H 3.5779 -8.7021 1.7947
H 4.9408 -8.6713 2.9053
H 4.1243 -7.1265 4.3226
H 2.7838 -8.3255 4.0355
H 1.8221 -2.6881 3.1287
H 0.9163 -2.9934 1.5802
H 2.6856 -3.0710 1.6585
C -0.1123 -1.3916 -4.6988
C -0.9090 -0.1573 -4.2056
O -1.1549 0.6428 -5.4534
C -0.3690 1.6744 -5.8603
O 0.6980 2.0203 -5.3157
O -1.0336 2.2609 -6.9354
C -0.5333 3.5079 -7.4441
H -0.5926 -1.8447 -5.5660
H -0.1802 -1.9652 -3.7744
H 0.8829 -1.0351 -4.9646
H -0.3740 0.4225 -3.4534
H -1.9105 -0.4624 -3.9025
H -0.5787 3.4838 -8.5329
H 0.4562 3.7187 -7.0385
H -1.1738 4.2855 -7.0279
C 5.0445 0.1869 -6.6951
C 5.5534 0.3157 -5.2410
O 5.2044 -0.8074 -4.4558
C 4.1515 -0.7799 -3.6332
O 3.4648 0.2817 -3.4777
O 3.9121 -2.0039 -3.0466
C 2.8214 -2.2478 -2.2460
H 5.3606 1.0165 -7.3275
H 3.9549 0.1773 -6.7219
H 5.5921 -0.6727 -7.0814
H 5.2383 1.2795 -4.8410
H 6.6281 0.4764 -5.3266
H 2.1182 -1.4158 -2.2832
H 3.0221 -2.3663 -1.1812
H 2.2859 -3.1541 -2.5286
C -0.1933 6.3988 6.1692
C -1.5729 5.9649 5.7272
O -1.7554 5.8358 4.3287
C -1.3537 4.6716 3.7298
O -0.8654 3.6938 4.2501
O -1.7189 4.7696 2.4593
C -1.7124 3.7123 1.4971
H 0.0013 7.3004 5.5884
H 0.6347 5.7117 5.9944
H -0.2800 6.6014 7.2367
H -2.3388 6.6832 6.0195
H -1.9142 5.0766 6.2587
H -2.1209 4.0979 0.5630
H -2.1041 2.7782 1.8998
H -0.6604 3.5012 1.3051
C 2.3084 3.5313 2.5519
C 2.0811 4.1929 1.1516
O 3.2627 4.6313 0.4656
C 3.2122 4.7310 -0.8545
O 2.3956 4.1464 -1.5601
O 4.1501 5.5874 -1.2377
C 4.2080 6.0829 -2.5110
H 3.2829 3.0689 2.7092
H 1.5508 2.7935 2.8162
H 2.1901 4.3699 3.2380
H 1.3845 5.0250 1.2539
H 1.5676 3.4437 0.5491
H 3.8431 5.3120 -3.1898
H 5.1804 6.2844 -2.9604
H 3.5489 6.9232 -2.7289
C -3.2573 2.1661 6.7394
C -4.3628 1.1968 6.4319
O -4.7665 1.1918 5.0308
C -4.0491 0.6272 4.0826
O -3.0618 -0.0541 4.2070
O -4.7528 0.8467 2.9148
C -4.0726 0.4218 1.7130
H -3.0103 2.1642 7.8011
H -3.5882 3.1592 6.4356
H -2.4123 2.0399 6.0625
H -5.2486 1.4229 7.0254
H -4.0714 0.1971 6.7540
H -3.0186 0.6983 1.7381
H -4.4187 0.7862 0.7458
H -4.1424 -0.6585 1.5851
C -0.5916 -8.7611 3.1187
C -1.5447 -7.7421 2.4362
O -1.7816 -6.5268 3.1388
C -1.7145 -5.3055 2.5192

(manual removal of tartar from the gingival pockets)

Undercutting the frenulum


(gum correction for further treatment)

Root apex resection

(removal of a fragment of the root of the tooth if it is not possible to clean it and fill it during endodontic treatment)

Our doctors

At the Borowski Dental Center, we provide comprehensive dental care for children, adults and seniors.

Price list

Surgical extraction - does not involve suturing the wound or anesthesiaPLN 300
Extraction of a loose tooth/baby toothPLN 175
Surgical extraction of a toothPLN 595
Surgical stitchingPLN 140
Removing the stitches and checking the woundPLN 0

Do you need a surgical procedure?

Schedule a consultation.

Would you like to cover the cost of the treatment in instalments?

At the Borowski Dental Center, patients can spread payment for procedures into convenient installments. For more information, please contact our reception desk – write to us, call or visit in person.
